### Brief
Your job: count the lines further below that contain the word "This" and give the number alone.
### File
+++
This entry pairs a crystal structure of Mg3Ru2 with its computed powder diffractogram. Radiation: Cu Ka. Structure: a DFT-relaxed cell (PBE, Alexandria).
Peak positions follow from Bragg's law for the DFT cell and can differ from measured ones.

Top 8 peaks for 2θ from 15° to 90°, in order of rising 2θ:
| 2theta | I (rel.) |
| --- | --- |
| 18.0 | 95 |
| 22.1 | 39 |
| 38.8 | 100 |
| 41.0 | 66 |
| 49.0 | 42 |
| 54.4 | 29 |
| 68.8 | 32 |
| 73.3 | 32 |

Cell and atoms:
Cell lengths 6.9586, 6.9586, 6.9586 Å; angles 90.00, 90.00, 90.00 degrees
Space group P4_132 (No. 213)
Asymmetric unit:
Mg (0.0441, 0.1250, 0.7941)
Ru (0.0749, 0.9251, 0.4251)



This entry pairs a crystal structure of MgRu2 with its computed powder diffractogram. Radiation: Cu Ka. Structure: a DFT-relaxed cell (PBE, Alexandria).
Peak positions follow from Bragg's law for the DFT cell and can differ from measured ones.

Top 8 peaks for 2θ from 15° to 90°, in order of rising 2θ:
| 2theta | I (rel.) |
| --- | --- |
| 23.9 | 40 |
| 40.8 | 100 |
| 42.0 | 78 |
| 60.0 | 31 |
| 73.4 | 14 |
| 76.0 | 31 |
| 76.8 | 13 |
| 88.4 | 9 |

Cell and atoms:
Cell lengths 4.2994, 4.2994, 2.7506 Å; angles 90.00, 90.00, 120.00 degrees
Space group P-3m1 (No. 164)
Asymmetric unit:
Mg (0.0000, 0.0000, 0.0000)
Ru (0.3333, 0.6667, 0.6870)



This entry pairs a crystal structure of MgRu2 with its computed powder diffractogram. Radiation: Cu Ka. Structure: a DFT-relaxed cell (PBE, Alexandria).
Peak positions follow from Bragg's law for the DFT cell and can differ from measured ones.

Top 8 peaks for 2θ from 15° to 90°, in order of rising 2θ:
| 2theta | I (rel.) |
| --- | --- |
| 23.7 | 38 |
| 39.2 | 19 |
| 40.3 | 33 |
| 42.1 | 100 |
| 44.3 | 20 |
| 57.5 | 12 |
| 74.6 | 18 |
| 83.5 | 10 |

Cell and atoms:
Cell lengths 2.8838, 13.8024, 4.4706 Å; angles 90.00, 90.00, 90.00 degrees
Space group Cmcm (No. 63)
Asymmetric unit:
Mg (0.0000, 0.0988, 0.2500)
Ru (0.0000, 0.2247, 0.7500)
Ru (0.0000, 0.4299, 0.2500)



This entry pairs a crystal structure of Mg7Ru6 with its computed powder diffractogram. Radiation: Cu Ka. Structure: a DFT-relaxed cell (PBE, Alexandria).
Peak positions follow from Bragg's law for the DFT cell and can differ from measured ones.

Top 8 peaks for 2θ from 15° to 90°, in order of rising 2θ:
| 2theta | I (rel.) |
| --- | --- |
| 19.9 | 28 |
| 34.3 | 100 |
| 39.3 | 44 |
| 40.0 | 75 |
| 42.4 | 52 |
| 64.8 | 19 |
| 67.0 | 26 |
| 72.2 | 19 |

Cell and atoms:
Cell lengths 5.2306, 5.2306, 26.5921 Å; angles 90.00, 90.00, 120.00 degrees
Space group R-3m (No. 166, hexagonal axes)
Asymmetric unit:
Mg (0.0000, 0.0000, 0.0000)
Mg (0.0061, 0.5030, 0.4156)
Ru (0.0000, 0.0000, 0.1668)
Ru (0.0000, 0.0000, 0.3589)
Ru (0.0000, 0.0000, 0.4562)
+++
### Here it is
4